Excerpt
Molecular formula: CO3S3
Method: DFT, ωB97M-V/def2-TZVPD

Cartesian coordinates (Å):
1 O 0.45195 -1.37835 -1.18642
2 S -0.70565 -1.30102 -0.35312
3 O -1.94894 -0.89507 -0.91738
4 S -0.64459 -2.04615 1.40891
5 O -0.06648 0.85778 0.29177
6 C 0.88534 1.46782 0.58569
7 S 2.12004 2.26568 1.01214

The value obtained for the lowest unoccupied orbital energy is -0.92 eV. The calculation puts the frontier orbital gap at 0.340 Eh. For the energy relative to the best compared isomer or geometry (same formula, charge and spin), the calculation gives 13.2 kJ/mol. The highest occupied orbital energy is -10.174 eV. As for the molar mass: 156.2 Da. Its SMILES is O=S(=O)=S.O=C=S.


No. 1
ORCA calculation (the ωB97M-V functional and the def2-TZVPD basis) on a molecular structure, C28H49NO2P2Tl.

The geometry in XYZ format:
```
83
Properties=species:S:1:pos:R:3:forces:R:3:lowdin_charge:R:1
Tl 1.9899 0.4357 1.2864 -3.50 -1.96 0.05 0.9905
C 0.6056 -3.0772 0.1903 0.22 0.12 0.13 -0.1325
C 1.1386 -2.6929 1.4503 0.01 -0.09 -0.17 -0.2332
C -1.1444 -2.4585 1.5579 -0.19 0.02 0.22 -0.0986
C -0.8097 -2.9385 0.2601 -0.62 0.09 -0.32 -0.0785
C 0.0600 -2.2753 2.2824 0.23 0.05 -0.01 -0.1825
C 1.3993 -3.5141 -0.9769 0.03 -0.09 -0.46 0.0008
H 2.2706 -2.8594 -1.1341 -0.21 -0.18 0.07 0.0877
H 0.7955 -3.4988 -1.8937 0.23 0.01 0.27 0.0737
H 1.7787 -4.5395 -0.8410 -0.06 0.23 0.02 0.1140
C -1.7842 -3.1990 -0.8158 0.33 -0.49 -0.13 0.0126
H -1.3003 -3.6269 -1.7012 -0.15 0.13 0.20 0.0815
H -2.2937 -2.2636 -1.1071 -0.08 0.22 0.15 0.0815
H -2.5619 -3.9010 -0.4755 0.12 0.27 -0.01 0.1175
C -2.4947 -2.2038 2.0872 -0.39 -0.10 -0.26 0.0103
H -2.7062 -2.8350 2.9632 0.15 0.12 -0.10 0.1174
H -3.2596 -2.3935 1.3297 0.09 0.20 0.21 0.0757
H -2.6120 -1.1556 2.3970 0.01 -0.17 -0.12 0.0961
C 0.1771 -1.7126 3.6451 -0.17 0.15 0.43 -0.0200
H 0.3098 -2.5152 4.3894 -0.04 0.19 -0.15 0.1160
H -0.7312 -1.1540 3.9126 0.29 -0.19 -0.04 0.0924
H 1.0377 -1.0291 3.7440 -0.27 -0.31 -0.06 0.0515
C 2.5687 -2.7498 1.8288 0.39 -0.13 0.20 -0.0560
H 2.8892 -3.7980 1.9619 -0.02 0.32 -0.05 0.1179
H 2.7568 -2.2239 2.7744 -0.03 -0.18 -0.18 0.0737
H 3.2159 -2.3106 1.0525 -0.13 -0.22 0.12 0.0703
C 3.0995 1.9041 -0.4059 2.20 -1.18 -0.77 -0.1899
C 3.8761 0.7636 -0.2261 -0.02 2.36 -1.08 -0.2169
C 5.1340 0.7488 0.6153 0.47 -0.47 -0.48 -0.1580
C 5.0449 0.7486 2.1647 0.07 -0.51 0.53 -0.1612
C 3.7584 1.1621 2.8453 0.42 2.47 0.65 -0.2233
C 3.0613 2.3264 2.5779 1.97 -0.58 1.40 -0.1913
C 3.5726 3.4291 1.6831 -0.35 0.63 0.13 -0.1496
C 3.5052 3.2377 0.1462 -0.43 0.72 -0.20 -0.1580
H 5.8269 1.5570 0.3265 -0.48 -0.16 -0.17 0.1314
H 5.8955 1.3631 2.5209 -0.54 -0.19 0.09 0.1408
H 5.6375 -0.1963 0.3553 0.06 0.49 0.03 0.1230
H 4.4902 3.5406 -0.2419 -0.28 -0.34 -0.18 0.1329
H 2.2427 1.9123 -1.0926 0.28 -0.33 0.19 0.1142
H 3.7067 -0.1271 -0.8399 -0.38 0.23 0.25 0.1108
H 2.7893 3.9772 -0.2402 0.28 -0.23 0.04 0.1227
H 2.9599 4.3143 1.9199 0.27 -0.31 -0.08 0.1228
H 2.1917 2.5848 3.1996 0.27 -0.33 -0.24 0.1199
H 4.6036 3.7344 1.9308 -0.32 -0.50 0.24 0.1330
H 5.2539 -0.2764 2.5195 0.01 0.44 -0.15 0.1176
H 3.5133 0.5693 3.7399 -0.37 0.16 -0.58 0.1223
P 0.0287 -0.3425 -3.2477 -0.36 -0.04 -0.20 0.7727
C -0.6477 -1.6022 -4.4241 0.01 0.09 0.30 -0.3030
H -0.4434 -1.3142 -5.4640 -0.03 -0.12 0.19 0.0458
H -1.7306 -1.6765 -4.2688 0.26 0.05 -0.07 0.0195
H -0.1777 -2.5689 -4.2046 -0.08 0.07 -0.16 0.0174
C -0.5771 1.1955 -4.0575 -0.10 -0.10 0.29 -0.3059
H -0.3100 1.1950 -5.1219 -0.05 0.07 0.17 0.0442
H -0.1113 2.0490 -3.5508 -0.12 0.00 -0.18 0.0225
H -1.6700 1.2221 -3.9270 0.50 0.09 -0.09 0.0109
C 1.7620 -0.3016 -3.8675 -0.01 -0.12 0.02 -0.3429
H 2.2982 0.4945 -3.3368 0.08 -0.09 -0.21 0.0056
H 1.7796 -0.1172 -4.9499 0.20 -0.03 0.23 0.0417
H 2.2370 -1.2649 -3.6412 0.08 0.19 -0.13 0.0191
P -1.8418 2.2379 1.0332 0.59 -0.53 0.22 0.7779
C -1.6104 2.1260 2.8658 -0.09 0.09 0.02 -0.3257
H -1.7632 3.1082 3.3385 -0.03 -0.35 0.08 0.0439
H -0.5891 1.7711 3.0796 -0.24 0.11 0.04 -0.0100
H -2.3238 1.3914 3.2667 0.21 0.25 0.01 0.0321

Request
Write out the whole of the listing further above unchanged.

Worked solution
Molecular formula: CO3S3
Method: DFT, ωB97M-V/def2-TZVPD

Cartesian coordinates (Å):
1 O 0.45195 -1.37835 -1.18642
2 S -0.70565 -1.30102 -0.35312
3 O -1.94894 -0.89507 -0.91738
4 S -0.64459 -2.04615 1.40891
5 O -0.06648 0.85778 0.29177
6 C 0.88534 1.46782 0.58569
7 S 2.12004 2.26568 1.01214

The value obtained for the lowest unoccupied orbital energy is -0.92 eV. The calculation puts the frontier orbital gap at 0.340 Eh. For the energy relative to the best compared isomer or geometry (same formula, charge and spin), the calculation gives 13.2 kJ/mol. The highest occupied orbital energy is -10.174 eV. As for the molar mass: 156.2 Da. Its SMILES is O=S(=O)=S.O=C=S.


No. 1
ORCA calculation (the ωB97M-V functional and the def2-TZVPD basis) on a molecular structure, C28H49NO2P2Tl.

The geometry in XYZ format:
```
83
Properties=species:S:1:pos:R:3:forces:R:3:lowdin_charge:R:1
Tl 1.9899 0.4357 1.2864 -3.50 -1.96 0.05 0.9905
C 0.6056 -3.0772 0.1903 0.22 0.12 0.13 -0.1325
C 1.1386 -2.6929 1.4503 0.01 -0.09 -0.17 -0.2332
C -1.1444 -2.4585 1.5579 -0.19 0.02 0.22 -0.0986
C -0.8097 -2.9385 0.2601 -0.62 0.09 -0.32 -0.0785
C 0.0600 -2.2753 2.2824 0.23 0.05 -0.01 -0.1825
C 1.3993 -3.5141 -0.9769 0.03 -0.09 -0.46 0.0008
H 2.2706 -2.8594 -1.1341 -0.21 -0.18 0.07 0.0877
H 0.7955 -3.4988 -1.8937 0.23 0.01 0.27 0.0737
H 1.7787 -4.5395 -0.8410 -0.06 0.23 0.02 0.1140
C -1.7842 -3.1990 -0.8158 0.33 -0.49 -0.13 0.0126
H -1.3003 -3.6269 -1.7012 -0.15 0.13 0.20 0.0815
H -2.2937 -2.2636 -1.1071 -0.08 0.22 0.15 0.0815
H -2.5619 -3.9010 -0.4755 0.12 0.27 -0.01 0.1175
C -2.4947 -2.2038 2.0872 -0.39 -0.10 -0.26 0.0103
H -2.7062 -2.8350 2.9632 0.15 0.12 -0.10 0.1174
H -3.2596 -2.3935 1.3297 0.09 0.20 0.21 0.0757
H -2.6120 -1.1556 2.3970 0.01 -0.17 -0.12 0.0961
C 0.1771 -1.7126 3.6451 -0.17 0.15 0.43 -0.0200
H 0.3098 -2.5152 4.3894 -0.04 0.19 -0.15 0.1160
H -0.7312 -1.1540 3.9126 0.29 -0.19 -0.04 0.0924
H 1.0377 -1.0291 3.7440 -0.27 -0.31 -0.06 0.0515
C 2.5687 -2.7498 1.8288 0.39 -0.13 0.20 -0.0560
H 2.8892 -3.7980 1.9619 -0.02 0.32 -0.05 0.1179
H 2.7568 -2.2239 2.7744 -0.03 -0.18 -0.18 0.0737
H 3.2159 -2.3106 1.0525 -0.13 -0.22 0.12 0.0703
C 3.0995 1.9041 -0.4059 2.20 -1.18 -0.77 -0.1899
C 3.8761 0.7636 -0.2261 -0.02 2.36 -1.08 -0.2169
C 5.1340 0.7488 0.6153 0.47 -0.47 -0.48 -0.1580
C 5.0449 0.7486 2.1647 0.07 -0.51 0.53 -0.1612
C 3.7584 1.1621 2.8453 0.42 2.47 0.65 -0.2233
C 3.0613 2.3264 2.5779 1.97 -0.58 1.40 -0.1913
C 3.5726 3.4291 1.6831 -0.35 0.63 0.13 -0.1496
C 3.5052 3.2377 0.1462 -0.43 0.72 -0.20 -0.1580
H 5.8269 1.5570 0.3265 -0.48 -0.16 -0.17 0.1314
H 5.8955 1.3631 2.5209 -0.54 -0.19 0.09 0.1408
H 5.6375 -0.1963 0.3553 0.06 0.49 0.03 0.1230
H 4.4902 3.5406 -0.2419 -0.28 -0.34 -0.18 0.1329
H 2.2427 1.9123 -1.0926 0.28 -0.33 0.19 0.1142
H 3.7067 -0.1271 -0.8399 -0.38 0.23 0.25 0.1108
H 2.7893 3.9772 -0.2402 0.28 -0.23 0.04 0.1227
H 2.9599 4.3143 1.9199 0.27 -0.31 -0.08 0.1228
H 2.1917 2.5848 3.1996 0.27 -0.33 -0.24 0.1199
H 4.6036 3.7344 1.9308 -0.32 -0.50 0.24 0.1330
H 5.2539 -0.2764 2.5195 0.01 0.44 -0.15 0.1176
H 3.5133 0.5693 3.7399 -0.37 0.16 -0.58 0.1223
P 0.0287 -0.3425 -3.2477 -0.36 -0.04 -0.20 0.7727
C -0.6477 -1.6022 -4.4241 0.01 0.09 0.30 -0.3030
H -0.4434 -1.3142 -5.4640 -0.03 -0.12 0.19 0.0458
H -1.7306 -1.6765 -4.2688 0.26 0.05 -0.07 0.0195
H -0.1777 -2.5689 -4.2046 -0.08 0.07 -0.16 0.0174
C -0.5771 1.1955 -4.0575 -0.10 -0.10 0.29 -0.3059
H -0.3100 1.1950 -5.1219 -0.05 0.07 0.17 0.0442
H -0.1113 2.0490 -3.5508 -0.12 0.00 -0.18 0.0225
H -1.6700 1.2221 -3.9270 0.50 0.09 -0.09 0.0109
C 1.7620 -0.3016 -3.8675 -0.01 -0.12 0.02 -0.3429
H 2.2982 0.4945 -3.3368 0.08 -0.09 -0.21 0.0056
H 1.7796 -0.1172 -4.9499 0.20 -0.03 0.23 0.0417
H 2.2370 -1.2649 -3.6412 0.08 0.19 -0.13 0.0191
P -1.8418 2.2379 1.0332 0.59 -0.53 0.22 0.7779
C -1.6104 2.1260 2.8658 -0.09 0.09 0.02 -0.3257
H -1.7632 3.1082 3.3385 -0.03 -0.35 0.08 0.0439
H -0.5891 1.7711 3.0796 -0.24 0.11 0.04 -0.0100
H -2.3238 1.3914 3.2667 0.21 0.25 0.01 0.0321